Thursday, January 22, 2015


When you become a bad blogger, you are all ready to move forward to blog about Christmas when you realize you completely forgot about Halloween! Ugh....and we had an AWESOME Halloween this year- definitely worth mentioning!

The original plan for costumes was a mermaid for Collins and a little fish for Addie. But when Donna whipped out that amazing Ms. Wuf costume, it didn't take Collins long to decide she wanted to be that for Halloween. So then I decided that Addie should be a baby Tar Heel. :) Fair, right? Mom offered to make Addie's costume, and she did a fabulous job! I loved that both girls had homemade costumes by two crafty grandmothers!

Collins got to show off her Ms. Wuf costume at dance class, at school, at church, and then on Halloween, and it was a hit everywhere.

The three muskateers were cute at church's Fall Fest (which I helped planned and was a disaster by the way- it poured just as the outdoor event was about to start and chaos ensued!). But they had a great time prancing around on stage, and Collins was honestly so confused when she didn't win the costume contest. She knew she had the best costume there (and she was right!).

On Halloween day we (Brian) carved our pumpkins, and the girls had a little moment hanging out together in the wagon. I can't wait for these moments to multiply!

Collins is giving Addie a "kissing hand". This is a really sweet thing she has started doing to us every once in awhile. It's from the book, and it's a kiss to take with you when you leave. I love that she gave Addie one. 

+++
Record 1
Below is an optimized crystal structure of Na4ZnSi2SnSO12, with properties calculated at the PBE level. Values from VASP.

Cell and atoms, written as Quantum ESPRESSO input:
```
&SYSTEM
  ibrav = 0, nat = 126, ntyp = 6
/
ATOMIC_SPECIES
Si 28.09 Si.upf
O 16.00 O.upf
Na 22.99 Na.upf
Sn 118.71 Sn.upf
Zn 65.41 Zn.upf
S 32.06 S.upf
ATOMIC_POSITIONS angstrom
Si 6.4702 -0.0021 16.7464
O 1.8321 0.2387 6.9169
O 6.4504 2.8626 14.3276
O -2.7643 7.5164 4.2639
O -0.5024 3.7865 5.6843
O 7.4043 0.2217 18.0388
O 3.7166 1.3299 5.4596
O -1.1854 3.7834 19.1769
O 3.7339 3.8839 20.4497
Na 5.8009 5.4105 20.4686
O -0.7812 6.8772 12.8679
Sn 4.4707 2.6405 21.8802
O 5.4263 6.2035 17.8970
Zn 4.6336 2.6286 15.1748
S 1.3883 2.9451 9.2905
O 2.7643 7.4994 15.3858
Sn 4.7657 2.6575 10.7584
O 3.7166 6.5777 20.2811
Na -1.1826 2.8036 1.9360
Si 7.3845 2.6388 13.0352
Si 2.7662 5.2627 20.4460
O 0.6605 6.9179 7.9350
O -1.8539 4.8755 7.9751
Na -4.5123 7.7833 22.1158
O 3.8370 4.2534 5.4572
Sn 0.1475 5.2814 18.1691
Na 1.7413 2.7706 5.4284
Sn -0.1475 5.2984 7.0473
Na 6.3595 0.1127 20.2614
O 3.5031 4.0072 14.3264
O -1.6636 5.1917 1.7770
Na 2.8770 0.1297 9.1395
O 0.9016 3.9708 1.7485
S -1.3883 2.9281 20.4124
Si 1.3530 2.2968 16.7496
O -0.9016 3.9538 12.8703
S -3.2300 5.5690 16.7013
O 5.1207 1.1456 9.3954
Na 7.5444 2.2722 9.1116
O 1.1152 1.3663 18.0375
Zn 9.2211 -0.0123 18.8859
Si 5.9713 4.9547 1.9166
Na 1.1826 2.7866 13.0579
Zn 4.6029 2.6456 4.0529
Na 2.8770 5.4115 1.7173
Si 3.2652 4.9377 13.0385
O 0.8081 3.5796 10.4863
Zn -0.0154 5.2694 11.4637
Na 2.9262 4.8960 16.5224
O -3.4329 6.4242 15.4658
Na 4.7242 2.5356 7.2943
O 4.1158 1.1286 20.5173
O 6.2818 2.5508 5.4881
O 0.6605 1.6361 15.3573
O 6.3528 2.7897 20.4996
Na 3.4356 5.4275 9.3468
O 1.7346 0.1659 13.0889
Si 1.3530 7.5786 9.3273
O 7.5019 0.1829 1.9670
O 5.3995 4.2363 16.5790
O 0.5024 3.7695 16.8061
Na 6.3103 4.9130 5.4005
O 1.8539 4.8585 19.0969
Si -1.3530 7.5616 20.4492
O -0.6605 6.9008 19.0569
O 0.7812 1.6125 9.1683
O 6.4722 2.2346 11.6862
O 1.1152 6.6481 10.6153
Zn 0.0153 0.0047 7.7641
O 3.9577 4.2770 11.6461
O 0.8844 1.2771 1.9171
Si -2.7662 5.2797 9.3241
O 5.4263 0.9557 3.0755
O -1.8321 5.5035 10.6165
Na 3.4356 0.1457 16.7690
Na -2.8770 5.3945 12.8391
Si 2.7662 0.0150 5.6245
O 2.8837 2.8067 9.3778
O -0.7812 1.5955 20.2902
O 2.7643 2.2517 0.5643
Na -1.6920 7.5539 1.6894
O 0.7812 6.8943 1.7461
O 4.1158 6.4104 13.0950
Na 4.5123 2.5186 18.4162
O -0.8844 6.5418 5.6168
Zn 0.0153 5.2865 0.3418
O 5.8036 1.1765 0.6443
O 5.5199 1.3129 16.5814
O 3.8101 6.2205 6.7751
Na 7.4952 2.7536 16.5502
O 5.7334 4.0242 3.2045
O -3.7166 6.5947 9.1592
Na 0.1059 5.1595 14.7051
O 8.3521 1.2601 13.0390
O 5.2788 4.2940 0.5243
Na 1.6920 2.2551 20.2335
O 3.4329 6.4413 4.3439
Sn 9.0890 0.0166 14.4695
Na -0.1060 5.1765 3.5832
O 5.1207 6.4274 1.9732
Na 4.5123 7.8003 10.9939
O 2.7861 2.8796 3.2058
O 1.8321 5.4865 21.7384
S 6.0065 0.3213 1.8798
Si 1.8520 2.6558 1.9134
O -1.7346 5.4306 16.7885
O 1.1853 3.8004 8.0551
S 3.2300 5.5860 5.5794
+++
End of the records of crystals:

Most adorable pumpkin ever?

The idea behind our pumpkin came from a new Halloween book that Gigi gave Collins. Why carve one large pumpkin when you can carve six small pumpkins and make them look even scarier?!? Brian did an awesome job, and he and his special helper were very proud!

All ready for the big night! Cutest little house divided ever...

-- Calculated crystals that have nothing to do with the page --
........
(1)
# PBE InAg3C6N6, optimized geometry
data_InAg3C6N6
_chemical_formula_sum 'In1 Ag3 C6 N6'
_space_group_name_H-M_alt 'P -3 1 m'
_space_group_IT_number 162
_space_group_name_Hall '-P 3 2'
_cell_length_a 7.8009
_cell_length_b 7.8009
_cell_length_c 7.6419
_cell_angle_alpha 90.00
_cell_angle_beta 90.00
_cell_angle_gamma 120.00
loop_
_atom_site_label
_atom_site_type_symbol
_atom_site_fract_x
_atom_site_fract_y
_atom_site_fract_z
_atom_site_occupancy
In1 In 0.0000 0.0000 0.0000 1
Ag1 Ag 0.0000 0.5000 0.5000 1
C1 C 0.0000 0.2447 0.8256 1
N1 N 0.0000 0.3536 0.7206 1
# energy relative to the elements: 37.6 kJ/mol of atoms

***

(2)
# PBE KMnAg3C6N6, optimized geometry
data_KMnAg3C6N6
_chemical_formula_sum 'K1 Mn1 Ag3 C6 N6'
_space_group_name_H-M_alt 'P 3 1 2'
_space_group_IT_number 149
_cell_length_a 6.9706
_cell_length_b 6.9706
_cell_length_c 8.1606
_cell_angle_alpha 90.00
_cell_angle_beta 90.00
_cell_angle_gamma 120.00
loop_
_space_group_symop_operation_xyz
'x,y,z'
'-y,x-y,z'
'-x+y,-x,z'
'-y,-x,-z'
'-x+y,y,-z'
'x,x-y,-z'
loop_
_atom_site_label
_atom_site_type_symbol
_atom_site_fract_x
_atom_site_fract_y
_atom_site_fract_z
_atom_site_occupancy
K1 K 0.0000 0.0000 0.0000 1
Mn1 Mn 0.3333 0.6667 0.0000 1
Ag1 Ag 0.3443 0.1722 0.5000 1
C1 C 0.3376 0.0138 0.2855 1
N1 N 0.0807 0.4098 0.1643 1
# energy relative to the elements: 8.8 kJ/mol of atoms

***

(3)
# PBE K2NaAg3C6N6, optimized geometry
data_K2NaAg3C6N6
_chemical_formula_sum 'K2 Na1 Ag3 C6 N6'
_space_group_name_H-M_alt 'P -3 1 m'
_space_group_IT_number 162
_space_group_name_Hall '-P 3 2'
_cell_length_a 7.1888
_cell_length_b 7.1888
_cell_length_c 8.6501
_cell_angle_alpha 90.00
_cell_angle_beta 90.00
_cell_angle_gamma 120.00
loop_
_atom_site_label
_atom_site_type_symbol
_atom_site_fract_x
_atom_site_fract_y
_atom_site_fract_z
_atom_site_occupancy
K1 K 0.3333 0.6667 0.0000 1
Na1 Na 0.0000 0.0000 0.0000 1
Ag1 Ag 0.0000 0.5000 0.5000 1
C1 C 0.0000 0.3664 0.7100 1
N1 N 0.0000 0.2961 0.8325 1
# energy relative to the elements: -10.8 kJ/mol of atoms

***

(4)
# PBE K2AgC3S3N3, optimized geometry
data_K2AgC3S3N3
_chemical_formula_sum 'K16 Ag8 C24 S24 N24'
_space_group_name_H-M_alt 'P 1 21/c 1'
_space_group_IT_number 14
_cell_length_a 9.9686
_cell_length_b 20.2705
_cell_length_c 12.5321
_cell_angle_alpha 90.00
_cell_angle_beta 124.44
_cell_angle_gamma 90.00
loop_
_space_group_symop_operation_xyz
'x,y,z'
'-x,-y,-z'
'-x,y+1/2,-z+1/2'
'x,-y+1/2,z+1/2'
loop_
_atom_site_label
_atom_site_type_symbol
_atom_site_fract_x
_atom_site_fract_y
_atom_site_fract_z
_atom_site_occupancy
K1 K 0.0084 0.1074 0.3770 1
K2 K 0.2016 0.2198 0.7114 1
K3 K 0.2946 0.7355 0.0427 1
K4 K 0.4690 0.0979 0.1098 1
Ag1 Ag 0.0019 0.0482 0.8785 1
Ag2 Ag 0.4828 0.5720 0.9001 1
C1 C 0.0285 0.1279 0.1326 1
C2 C 0.0414 0.7180 0.6390 1
C3 C 0.1834 0.0481 0.7244 1
C4 C 0.2801 0.5641 0.0462 1
C5 C 0.4296 0.2277 0.5863 1
C6 C 0.4486 0.6126 0.6231 1
S1 S 0.0804 0.6601 0.7453 1
S2 S 0.1445 0.0696 0.1317 1
S3 S 0.2281 0.0022 0.8497 1
........

The Bakers down the street hosted our neighborhood party, and they did a great job. Then it was off to the races!

We discovered that the baby loves pizza crust, and she spent the entire party gnawing on her new-found treat.

Nora Rose came trick-or-treating with us, and it was so fun watching the girls squeal and race from house to house. Love that they both went as their Dad's favorite sport's team mascot (and that both had tails!).

The whole night was so festive. The weather was perfect, the girls were adorable, and you couldn't wipe the smile off Collins's face. Halloween really is more fun when you have kids. Oh and by the way, Addie slept through the whole thing at Gigi's house. 

-- Unrelated to this page: calculated crystals --
Entry 1:
Mg2Sc | GGA-PBE | relaxed

E = -3.212 eV/atom
formation energy = -0.034 eV per atom

a = 3.2597 Å, b = 16.5897 Å, c = 5.1787 Å
α = 90.00°, β = 90.00°, γ = 90.00°
Closest atoms and distances in Å follow each position.
Space group Cmcm (No. 63)
Inequivalent atoms, fractional coordinates:
Mg: 0.0000 0.1110 0.2500  6 Mg 3.19-3.26, 6 Sc 3.19-3.21
Mg: 0.0000 0.2230 0.7500  10 Mg 3.19-3.26, 2 Sc 3.21
Sc: 0.0000 0.4440 0.2500  4 Sc 3.19-3.26, 8 Mg 3.19-3.21

Entry 2:
Mg4Sc | GGA-PBE | relaxed

E = -2.519 eV/atom
total moment = 0.6 μB per formula unit
formation energy = 0.028 eV per atom

a = 3.2005 Å, b = 3.2005 Å, c = 39.6105 Å
α = 90.00°, β = 90.00°, γ = 120.00°
Closest atoms and distances in Å follow each position.
Space group R-3m (No. 166, hexagonal axes)
Inequivalent atoms, fractional coordinates:
Mg: 0.0000 0.0000 0.0997  9 Mg 3.20-3.22, 3 Sc 3.23
Mg: 0.0000 0.0000 0.3001  12 Mg 3.20-3.22
Sc: 0.0000 0.0000 0.5000  6 Sc 3.20, 6 Mg 3.23

Entry 3:
MgSc | GGA-PBE | relaxed

E = -3.989 eV/atom
total moment = 0.3 μB per formula unit
formation energy = -0.023 eV per atom

a = 5.1987 Å, b = 3.3628 Å, c = 5.3489 Å
α = 90.00°, β = 90.00°, γ = 90.00°
Closest atoms and distances in Å follow each position.
Space group Pmma (No. 51)
Inequivalent atoms, fractional coordinates:
Mg: 0.2500 0.0000 0.1946  8 Sc 3.15-3.17, 4 Mg 3.33-3.36
Sc: 0.2500 0.5000 0.6960  8 Mg 3.15-3.17, 4 Sc 3.34-3.36

Entry 4:
Mg5Sc | GGA-PBE | relaxed

E = -2.373 eV/atom
formation energy = 0.016 eV per atom

a = 5.5703 Å, b = 5.5703 Å, c = 5.1491 Å
α = 90.00°, β = 90.00°, γ = 120.00°
Closest atoms and distances in Å follow each position.
Space group P-62m (No. 189)
Inequivalent atoms, fractional coordinates:
Mg: 0.0000 0.6575 0.0000  10 Mg 3.16-3.30, 2 Sc 3.20
Mg: 0.3333 0.6667 0.5000  9 Mg 3.16-3.22, 3 Sc 3.22
Sc: 0.0000 0.0000 0.5000  12 Mg 3.20-3.22

----------

{"formula": "BaTbFe2O5", "functional": "GGA+U", "state": "relaxed", "lattice": [[3.979, 0.000, 0.000], [0.000, 3.979, 0.000], [0.000, 0.000, 7.608]], "species": ["Ba", "Tb", "Fe", "Fe", "O", "O", "O", "O", "O"], "fractional_positions": [[0.000, 0.000, 0.000], [0.000, 0.000, 0.500], [0.500, 0.500, 0.268], [0.500, 0.500, 0.732], [0.500, 0.000, 0.315], [0.500, 0.000, 0.685], [0.000, 0.500, 0.315], [0.000, 0.500, 0.685], [0.500, 0.500, 0.000]], "total_magnetization_mub_per_cell": 9.0, "formation_enthalpy_0k_mev_per_atom": -2555}

----------

VASP calculation (PBE) on a geometry-optimized MgAg3 structure.

Space-group type: Pm-3m, No. 221
Total DFT energy (no corrections) in hartree per atom: -0.099

Structure (extended XYZ):
```
4
Lattice="4.170 0.000 0.000 0.000 4.170 0.000 0.000 0.000 4.170" Properties=species:S:1:pos:R:3 pbc="T T T"
Ag 2.085 2.085 0.000
Ag 2.085 0.000 2.085
Ag 0.000 2.085 2.085
Mg 0.000 0.000 0.000
```

=====

VASP calculation (PBE) on a geometry-optimized Mg149Ag structure.

Space-group type: P-6m2, No. 187
Magnetization in μB per formula unit: 0.0

Loved Halloween this year!